How to find a good dance instructor

Want to learn how to dance salsa, but do not know where to start or where to go?
Or been dancing salsa but want to get better at it?
- you tried to learn how to dance salsa but could not learn?
- Is your desire fundamental? you simply want to get better at Salsa (Mambo) dancing?
- As a Gentleman you want to be able to lead anyone smoothly, and learn the secrets of proper leading?
- As a lady you want to learn the secrets on how to follow anyone, and add styling and flavor to your dancing?
Find a good instructor or salsa dance school.
Finding a dance instructor or dance school in the Miami, Fort lauderdale area, or anywhere in the world is not difficult. They are all over the place.
Instructors abound, but what do they offer, how do they teach, and more importantly, what should you look for in a dance instructor?
My advice is to consider four critical characteristics when you look for a dance instructor.
These are vital:
First and foremost,
an instructor needs to have teaching ability. The instructor must be able to convey to the student the desired outcome. This means that the instructor must be able to describe, explain, and illustrate.
Also, the dance instructor must have the ability to demonstrate what the students are supposed to do, and successfully transfer that dance information to the student.
the instructor should have a thorough knowledge of the steps, the technique, and the associated styling. This means that the instructor must be able to take those complex dance elements, and reduce them to simple steps, relate them to other moves, and/or demonstrate the similarity between these and other steps.
your instructor needs to have people skills. The instructor must be able to relate to the people in the class, enjoy working with people, and be able to work with a diversity of people and a variety of dance capabilities.
of course, the instructor must have a desire to teach. The dance instructor must have the attitude, interest, and ability to translate the Salsa steps, styling, and related elements into form, format, or content that the student can understand, along with the innate desire to do so.
he or she should be patient, thorough, and supportive. Patience is a critical asset for the instructor. It is frustrating for both teacher and student when you are having trouble explaining and obtaining the students’ understanding about some dance element. Thoroughness matters if the full learning process is to be successful. Seek out the instructor who expects you to do it well and will not accept that which is only adequate. The instructor who is willing to offer constructive criticism will generally demand more of you and as a result, push you more towards excellence. After all the reason for attending class is to learn the “what and how” of dancing.
In addition the instructor should also be aware of and informed about the various Salsa activities in the area. You’re looking for a person who is involved in Salsa
In closing,
remember that the class environment should temper all of your expectations. Salsa is taught in many forums. Classes can be group or private, single level or multiple levels. The teaching goals vary based on the type of dance class being taught. The teaching objectives of a large basic dance class may be to only introduce the basic dance step and to assure that every one has fun, whereas the goal of an advanced class may be to teach a specific dance step or steps at each session. Ask the teacher about the class objectives. Visit the class and observe how the dance class is taught. Try out the class, and the instructor. See how you like it. Ask the other students in the class about the things they like and dislike. Students will often be surprisingly candid.
I remember reading that the most important ingredient in any class is the student. After all the purpose of any dance class is to teach dance so that the student is able to perform in a manner equal to that of the teacher or better than the teacher is.
Article by Sam Boone
NOTE: Advice- from Tony Duarte
“Before taking a class from any instructor, do some research on the instructor, find out his or her background in dancing, his or her experience and expertise in teaching. Remember, anyone can look great dancing on a dance floor, but it does not mean that he or she can teach or that he or she is a good instructor.
A good instructor must have personal skills, must understand each student needs, must have abilities to demonstrate in the simplest form, must have knowledge of the dance being taught, must have compassion, must have love for the art of teaching, and must have lots of patience!!!!!!
Calculated crystals from another source follow:
┌──
A relaxed Al2ReW crystal, computed with GGA-PBEsol.

abc: 3.1367 3.1367 5.9191
angles: 90.00 90.00 90.00
Positions (direct):
Al (0.5000, 0.5000, 0.2560)
Re (0.0000, 0.0000, 0.4961)
W (0.5000, 0.5000, 0.7469)
Al (0.0000, 0.0000, 0.0010)

Properties
Symmetry: No. 99
Total magnetic moment (μB/f.u.): 0.0
DFT formation energy (kJ/mol of atoms): -24.0
Total energy (eV/f.u.): -36.32

* * * * *

## Cs2TePbSe (GGA-PBE)

Data for Cs2TePbSe after structural relaxation.

Summary:
E_tot	-3.278	eV per atom
formation energy from raw total energies	-4.35	eV per formula unit
SG	P2_1/m (11)

abc: 10.115 4.797 10.655
angles: 90.00 101.72 90.00
Atoms (fractional coordinates):
Cs: 0.142 0.250 0.391
Cs: 0.294 0.250 0.907
Cs: 0.706 0.750 0.093
Cs: 0.858 0.750 0.609
Te: 0.375 0.750 0.209
Te: 0.625 0.250 0.791
Pb: 0.478 0.750 0.626
Pb: 0.522 0.250 0.374
Se: 0.218 0.750 0.656
Se: 0.782 0.250 0.344

---

## Cs2Te2Pb2Se (GGA-PBE)

Data for Cs2Te2Pb2Se after structural relaxation.

Summary:
E_tot	-3.425	eV per atom
formation energy from raw total energies	-5.09	eV per formula unit
SG	C2/m (12)

abc: 8.543 8.543 9.075
angles: 119.97 119.97 36.18
Atoms (fractional coordinates):
Cs: 0.060 0.060 0.319
Cs: 0.940 0.940 0.681
Te: 0.319 0.319 0.278
Te: 0.681 0.681 0.722
Pb: 0.304 0.304 0.918
Pb: 0.696 0.696 0.082
Se: 0.500 0.500 0.000

---

## Cs3ThPb2Se6 (GGA-PBE)

Data for Cs3ThPb2Se6 after structural relaxation.

Summary:
E_tot	-4.301	eV per atom
formation energy from raw total energies	-13.31	eV per formula unit
SG	C2/m (12)

abc: 7.714 7.714 8.761
angles: 98.38 98.38 119.96
Atoms (fractional coordinates):
Cs: 0.000 0.000 0.000
Cs: 0.327 0.673 0.000
Cs: 0.673 0.327 0.000
Th: 0.500 0.500 0.500
Pb: 0.166 0.834 0.500
Pb: 0.834 0.166 0.500
Se: 0.117 0.436 0.308
Se: 0.247 0.247 0.695
Se: 0.436 0.117 0.308
Se: 0.564 0.883 0.692
Se: 0.753 0.753 0.305
Se: 0.883 0.564 0.692

---

Among the records above, which one has the highest E_tot?
Cs2TePbSe

* * * * *

Compound: Sr3Hg9Bi2
Source: the Alexandria database
Functional: GGA-PBE
Structure: optimized geometry

* crystal system: orthorhombic
* E_tot: -0.0533 Ha/atom
* calculated volume: 29.9 Å³/atom
* ΔH_f (0 K): -0.34 eV/atom

Cell lengths 9.8520, 9.8520, 9.8520 Å; angles 151.19, 112.57, 74.93 degrees
Last column: nearest neighbours and their distance in Å.
Sites, in units of the cell vectors:
Sr: 0.0000 0.0000 0.0000  4 Bi 3.67, 12 Hg 3.67-4.09
Sr: 0.3288 0.3288 0.0000  10 Hg 3.51-3.63, 2 Bi 3.83
Sr: 0.6712 0.6712 0.0000  10 Hg 3.51-3.63, 2 Bi 3.83
Hg: 0.0570 0.6885 0.3685  4 Hg 2.88-3.05, 1 Bi 3.22
Hg: 0.1447 0.8678 0.2770  4 Hg 2.98-3.20, 2 Bi 3.22
Hg: 0.3200 0.6885 0.6315  4 Hg 2.88-3.05, 1 Bi 3.22
Hg: 0.4092 0.1322 0.2770  4 Hg 2.98-3.20, 2 Bi 3.22
Hg: 0.5000 0.0000 0.5000  4 Hg 3.20
Hg: 0.5908 0.8678 0.7230  4 Hg 2.98-3.20, 2 Bi 3.22
Hg: 0.6800 0.3115 0.3685  4 Hg 2.88-3.05, 1 Bi 3.22
Hg: 0.8553 0.1322 0.7230  4 Hg 2.98-3.20, 2 Bi 3.22
Hg: 0.9430 0.3115 0.6315  4 Hg 2.88-3.05, 1 Bi 3.22
Bi: 0.2494 0.5000 0.7494  6 Hg 3.22
└──
A good instructor must see dancing as an art form in order for him/her to be able to find the best simple way to present, communicate, and transmit an element or component to each individual/student’s way of learning.
In addition, the instructor must be a believer in the abilities of each student, by giving positive encouragement to each student on individual skills, a good instructor must have a good eye to pick up and correct good lead/follow techniques, teach proper foot work, and proper styling; have discipline, have a sincere need and desire to improve the student’s technical skills knowing that through the process as an instructor he or she will accomplish something greater than he or she has ever achieved and know that the student will enjoy the accomplishment, and fulfillment, as he or she gains confidence through the process of learning by having fun in a positive environment and eventually move on to become a great salsa mambo dancer.” (Tony Duarte)
Are you ready to start dancing? check out STEP N DANCE for Salsa & Bachata Dance Classes
post by Tony Duarte | Dance Tips & Articles